If you haven’t heard of developer Image and Form’s newest game The Gunk, you wouldn’t be alone. Honestly, we here at Honey’s Anime didn’t hear much about it either. After watching trailers and seeing early screenshots, we began to feel intrigued. This adventure platformer with vacuum cleaning elements had potential in our eyes, but is the final product a home run or a big mess? Let's find out in our look at The Gunk!
Cleaning Can’t Get much More Fun!

The Gunk wastes little time showing you what you’ll be doing as Rani, the main character of this otherworldly adventure. Rani lost her arm in the past—the story explains how early on—and now has a power glove-like device attached. With this strange gizmo, Rani can literally vacuum objects around her in various ways.
When you aren’t cleaning the planet from what’s called "gunk," you’ll be collecting resources to power your arm and grabbing items to solve puzzles. The Gunk is a game clearly meant for all ages, as rarely did we find ourselves screaming in frustration or dealing with hard puzzles. Yet, the simple cleaning element and puzzle-solving make The Gunk a fun little game to play when you need something less involving.
Cleaning Can Also Be a Bit…Boring?
The following is a DFT calculation (GGA-PBE) of a relaxed KNbAuO3 crystal.

DFT total energy = -159.99 eV per cell
calculated volume = 400.5 Å³ per cell
total magnetization = 0.155 μB/cell
space-group type = Pnma, No. 62

a = 10.8496 Å, b = 3.0986 Å, c = 11.9131 Å
α = 90.00°, β = 90.00°, γ = 90.00°
Positions (direct):
Au  0.9061  0.5000  0.4654
Nb  0.6367  0.0000  0.5404
O  0.2996  0.0000  0.5545
O  0.4790  0.0000  0.4061
O  0.2329  0.5000  0.8375
O  0.7329  0.0000  0.6625
O  0.7004  0.5000  0.4455
K  0.5917  0.5000  0.2413
K  0.4083  0.0000  0.7587
K  0.9083  0.5000  0.7413
Nb  0.1367  0.5000  0.9596
Au  0.4061  0.0000  0.0346
O  0.2671  0.5000  0.3375
O  0.5210  0.5000  0.5939
Au  0.0939  0.0000  0.5346
O  0.2004  0.0000  0.0545
O  0.0210  0.0000  0.9061
O  0.9790  0.5000  0.0939
O  0.7996  0.5000  0.9455
Nb  0.8633  0.0000  0.0404
Nb  0.3633  0.5000  0.4596
K  0.0917  0.0000  0.2587
Au  0.5939  0.5000  0.9654
O  0.7671  0.0000  0.1625

---

The following is a DFT calculation (GGA-PBE) of a relaxed CuSb5Ir3 crystal.

DFT total energy = -48.96 eV per cell
calculated volume = 212.8 Å³ per cell
total magnetization = 0.007 μB/cell
space-group type = P6/mmm, No. 191

a = 5.5952 Å, b = 5.5952 Å, c = 7.8486 Å
α = 90.00°, β = 90.00°, γ = 120.00°
Positions (direct):
Sb  0.6667  0.3333  0.2146
Ir  0.0000  0.5000  0.5000
Sb  0.3333  0.6667  0.7854
Sb  0.0000  0.0000  0.5000
Ir  0.5000  0.5000  0.5000
Cu  0.0000  0.0000  0.0000
Ir  0.5000  0.0000  0.5000
Sb  0.3333  0.6667  0.2146
Sb  0.6667  0.3333  0.7854

---

The following is a DFT calculation (GGA-PBE) of a relaxed DyNbGe crystal.

DFT total energy = -16.84 eV per cell
calculated volume = 79.0 Å³ per cell
total magnetization = 3.688 μB/cell
space-group type = F-43m, No. 216

a = 4.8172 Å, b = 4.8172 Å, c = 4.8172 Å
α = 60.00°, β = 60.00°, γ = 60.00°
Positions (direct):
Nb  0.7500  0.7500  0.7500
Dy  0.0000  0.0000  0.0000
Ge  0.2500  0.2500  0.2500

---

- Which value of total magnetization does entry 1 give?
  0.155 μB/cell

---

- DFT total energy of number 1 (KNbAuO3)?
  -159.99 eV per cell

* * * * *

Version w
BaZn2I | PBE | optimized geometry

Fermi-level density of states: 0.5917 states/eV per atom

Cell lengths 9.2760, 9.2760, 6.7310 Å; angles 90.00, 90.00, 90.00 degrees
With the nearest neighbours (Å) after each atom.
Space group I-42d (No. 122)
Unique sites:
Ba 0.0000 0.0000 0.0000 x4  2 I 3.37, 4 Zn 3.46
Zn 0.2385 0.7500 0.6250 x8  2 I 3.31, 2 Zn 3.37, 2 Ba 3.46
I 0.0000 0.0000 0.5000 x4  4 Zn 3.31, 2 Ba 3.37


Version x
BaZn2I | PBE | optimized geometry

Fermi-level density of states: 0.6668 states/eV per atom

Cell lengths 8.0475, 8.0475, 8.0475 Å; angles 90.00, 90.00, 90.00 degrees
With the nearest neighbours (Å) after each atom.
Space group Fm-3m (No. 225)
Unique sites:
Ba 0.0000 0.0000 0.0000 x4  8 Zn 3.48
Zn 0.2500 0.2500 0.2500 x8  4 Ba 3.48, 4 I 3.48
I 0.0000 0.0000 0.5000 x4  8 Zn 3.48


version w has the most favorable energy; the next structure is 0.068 eV/atom above.
(End of the records of crystals)
All jokes aside, while cleaning is one of the main elements of The Gunk, we have to admit your mileage playing will vary immensely. The Gunk can be relaxing and great when you need a break from getting headshots and grinding characters to fight a boss, but we did find ourselves sometimes getting a bit sleepy while playing The Gunk. Maybe due to how relaxing this game is, you might find yourself wanting to play The Gunk while drinking coffee or having just woken up from a nap, not when you want to take a nap.
Beauty Under that Mess

For an indie game, The Gunk is surprisingly breathtaking. While the character designs are a bit…questionable…the visuals and setting are truly gorgeous. We found ourselves walking around scanning objects to learn more about this pretty planet and wanting to clean the gunk off any surface we found. Who knew cleaning could be so liberating and lead to some beautiful revelations?
Fun Dialogue, Not Fun Voice Work
The last element we want to talk about in The Gunk is the story/dialogue. Rani and Becks are the main duo of The Gunk, and their friendship is legendary. How they both interact with one another feels genuine and heartwarming, which, in turn, makes every scene with them a fun bit of storytelling. However, the voice acting is a bit hit or miss.
At times, The Gunk’s voice cast seems to not know how to best approach their characters, diving between serious voice work and then sometimes overly mellow tones. If you would have had a triple-A cast of voice talent in The Gunk, we’d think this duo could be the next Jak and Daxter. As it is, The Gunk isn’t hard to listen to, but don’t expect anything other than an okay voice cast.
Final Thoughts
The Gunk is a fun little indie title that we really find enjoyable to play. Rani’s adventure is relatable to all ages and all who love exploring danger just to see what awaits ahead. The Gunk suffers from some overly simplistic gameplay and voice acting but, in the end, we really think you should give it a chance—especially if you love older games like Jak and Daxter or Blinx: The Time Sweeper. Props to those who remember both of those titles!
(Next to the text, the page also holds crystal structures)
<<<
La5Mo4: optimized geometry, GGA-PBE.

Cell lengths 8.785, 8.785, 6.669 Å; angles 90.00, 90.00, 60.00 degrees
Each line ends with the local moment (μB).
Fractional positions:
Mo1 0.000 0.000 0.000  -0.18
Mo2 0.000 0.000 0.500  -0.18
Mo3 0.643 0.357 0.250  0.48
Mo4 0.000 0.643 0.250  0.48
Mo5 0.357 0.000 0.250  0.48
Mo6 0.357 0.643 0.750  0.48
Mo7 0.000 0.357 0.750  0.48
Mo8 0.643 0.000 0.750  0.48
La1 0.283 0.717 0.250  0.00
La2 0.000 0.283 0.250  0.00
La3 0.717 0.000 0.250  0.00
La4 0.717 0.283 0.750  0.00
La5 0.000 0.717 0.750  0.00
La6 0.283 0.000 0.750  0.00
La7 0.333 0.333 0.000  -0.02
La8 0.667 0.667 0.500  -0.02
La9 0.667 0.667 0.000  -0.02
La10 0.333 0.333 0.500  -0.02

Computed properties:
Its formation energy is 728.4 meV per atom. The calculation puts the polymorph energy (0 for the lowest one) at 243 meV per atom. Its density of states at the Fermi level is 1.541 states/eV/atom.

---

Cs3Ge5F12: optimized geometry, GGA-PBE.

Cell lengths 13.075, 13.075, 13.075 Å; angles 109.47, 109.47, 109.47 degrees
Fractional positions:
Cs1 0.750 0.375 0.125
Cs2 0.875 0.750 0.125
Cs3 0.375 0.750 0.625
Cs4 0.250 0.125 0.375
Cs5 0.875 0.125 0.250
Cs6 0.375 0.625 0.250
Cs7 0.625 0.375 0.750
Cs8 0.125 0.875 0.750
Cs9 0.750 0.875 0.625
Cs10 0.625 0.250 0.375
Cs11 0.125 0.250 0.875
Cs12 0.250 0.625 0.875
Ge1 0.125 0.375 0.250
Ge2 0.000 0.500 0.000
Ge3 0.000 0.000 0.000
Ge4 0.375 0.250 0.125
Ge5 0.500 0.000 0.500
Ge6 0.500 0.500 0.000
Ge7 0.125 0.750 0.375
Ge8 0.750 0.125 0.875
Ge9 0.750 0.625 0.375
Ge10 0.375 0.125 0.750
Ge11 0.625 0.875 0.250
Ge12 0.500 0.500 0.500
Ge13 0.500 0.000 0.000
Ge14 0.000 0.000 0.500
Ge15 0.250 0.375 0.625
Ge16 0.250 0.875 0.125
Ge17 0.000 0.500 0.500
Ge18 0.875 0.250 0.625
Ge19 0.625 0.750 0.875
Ge20 0.875 0.625 0.750
F1 0.684 0.105 0.004
F2 0.319 0.504 0.399
F3 0.996 0.395 0.316
F4 0.504 0.184 0.105
F5 0.580 0.684 0.681
F6 0.996 0.601 0.181
F7 0.319 0.816 0.420
F8 0.101 0.920 0.105
F9 0.601 0.996 0.681
F10 0.684 0.580 0.181
F11 0.816 0.496 0.395
F12 0.819 0.899 0.004
F13 0.105 0.684 0.504
F14 0.395 0.399 0.080
F15 0.080 0.899 0.395
F16 0.420 0.105 0.601
F17 0.080 0.181 0.184
F18 0.496 0.681 0.101
F19 0.819 0.920 0.316
F20 0.105 0.420 0.101
F21 0.395 0.996 0.816
F22 0.601 0.605 0.420
F23 0.899 0.819 0.504
F24 0.816 0.319 0.920
F25 0.399 0.395 0.580
F26 0.101 0.181 0.496
F27 0.184 0.681 0.080
F28 0.181 0.080 0.684
F29 0.605 0.004 0.184
F30 0.895 0.580 0.899
F31 0.504 0.319 0.899
F32 0.580 0.895 0.399
F33 0.920 0.819 0.816
F34 0.920 0.101 0.605
F35 0.895 0.316 0.496
F36 0.181 0.101 0.996
F37 0.605 0.601 0.920
F38 0.399 0.004 0.319
F39 0.316 0.420 0.819
F40 0.184 0.504 0.605
F41 0.899 0.080 0.895
F42 0.681 0.184 0.580
F43 0.496 0.816 0.895
F44 0.004 0.399 0.819
F45 0.420 0.316 0.319
F46 0.004 0.605 0.684
F47 0.681 0.496 0.601
F48 0.316 0.895 0.996

Computed properties:
For the uncorrected formation energy, the calculation gives -2.043 eV/atom. Its density of states at the Fermi level is 0.389 states/eV/atom.

---
>>>
Are you playing The Gunk? Why not let us know your thoughts via the comments down below? Be sure to keep stuck to our super clean hive here at Honey’s Anime for even more game reviews and articles!